Use in the GUINode: Adds the schema drop down box, "outputSchema" to the operatorDialog and returns the DialogElement
Use in the GUINode: Adds the schema drop down box, "outputSchema" to the operatorDialog and returns the DialogElement
For use with database, not HDFS.
For use with database, not HDFS.
From the 'onExecution' method's parameters. This method adds the parameters to this object.
boolean indicating default value of the parameter. True for "Yes", false for "No".
The dialog element added.
Adds parameters to your operator to allow the user to determine how the output of the database operator will be written.
Adds parameters to your operator to allow the user to determine how the output of the database operator will be written. This method adds the following parameters. -- "viewOrTable": a radio button which lets the user choose whether to store the output as a view or a table -- "outputSchema": a drop down with all the defined schemas in the database, so that the user can pick their output schema. -- "dropIfExists" : Inherited from the super class. A radio button so the user can select to drop the output table/view if it already exists or throw an exception. -- "outputName" : The name of the output table. The default is the userID+the workflow name + the operator UUID
From the 'onExecution' method's parameters. This method adds the parameters to this object.
Optional. If you would like the default output to be something other than "tmpTable"
A sequence of each of the parameters that were created and added to the operatorDialog
Static values which will be used as parameter keys
Static values which will be used as parameter keys
Use in the runtime class: Gets the value of "outputSchema" parameter
Use in the runtime class: Gets the value of "outputSchema" parameter
OperatorParameters instance [containing the "outputSchema" parameter].
the output schema name
if the parameter wasn't added to the parameters object
Gets the value of the dropIfExists parameter, returning true if the String value is "Yes", false if it is a different value or missing.
Gets the value of the dropIfExists parameter, returning true if the String value is "Yes", false if it is a different value or missing.
OperatorParameters instance [containing the dropIfExists parameter].
Boolean representation of the dropIfExists parameter.
Use in the runtime class: Gets the value of "isViewOrTable" parameter and returns true if the user set the radio button to "view"
Use in the runtime class: Gets the value of "isViewOrTable" parameter and returns true if the user set the radio button to "view"
OperatorParameters instance [containing the "viewOrTable" parameter].
if the user selected "view"
if the parameter wasn't added to the parameters object
Gets the value of the overwrite parameter, returning true if the String value is "true", false if it is a different value or missing.
Gets the value of the overwrite parameter, returning true if the String value is "true", false if it is a different value or missing.
OperatorParameters instance [containing the overwrite parameter].
Boolean representation of the overwrite parameter.
Gets the value of the table name parameter.
Gets the value of the table name parameter. Note: In in PostgresSQL database names containing capital letters will need to be double quoted.
OperatorParameters instance [containing the "resultTableName" parameter].
the output table name
**Unrelated to this text: records of molecules**
A molecular structure, C32H64NO18S6, computed with ωB97M-V with the def2-TZVPD basis set.

## Properties
Energy above the lowest of the compared OMol25 structures with the same formula, charge and spin: 530.6 kJ/mol
Total charge: +1
2S+1: 1

The geometry in XYZ format:
```
121
Properties=species:S:1:pos:R:3:forces:R:3
N -15.4580 -23.6427 7.6184 2.8100 0.4391 -3.6625
H -16.0714 -24.2941 7.2173 -1.1164 -1.0306 -1.6891
H -14.6837 -23.2550 6.9889 -1.1811 -1.0313 0.4629
H -15.0550 -24.1460 8.3195 1.6584 -1.1502 3.1865
H -15.9806 -22.8948 7.8797 -2.1371 2.7411 1.6702
C -16.0128 -22.0410 12.3829 -0.1144 -1.7102 -0.6533
C -15.2852 -21.1817 11.3644 -2.4376 2.8595 -0.1197
C -14.0030 -20.4079 11.8415 -0.8166 -1.7892 3.5364
O -13.0823 -20.7608 10.8316 0.3554 1.6152 0.0684
C -13.6556 -21.5726 9.9333 2.2222 -0.4848 -0.2289
O -13.0681 -21.9822 8.9803 -0.2136 -0.1149 -0.5484
O -14.8408 -21.9363 10.3185 0.2117 -2.7393 -1.6172
H -17.0595 -22.3204 12.1779 0.4139 0.0859 -1.2130
H -16.2596 -21.4714 13.2549 1.0314 0.1202 1.2034
H -15.4534 -23.0651 12.4451 -0.6955 2.0839 0.6483
H -15.9469 -20.5439 10.7219 -0.3098 0.4568 1.8213
H -13.7270 -21.0911 12.8004 -0.0840 2.0888 -1.7199
H -14.1063 -19.2659 12.1766 0.3813 -2.6231 -1.3182
C -18.8711 -23.0431 1.4427 5.4215 0.4018 1.4120
C -17.9973 -24.1163 2.2138 -1.6001 0.4536 0.8017
C -16.5031 -24.2129 1.9044 -2.6525 5.8476 -1.2337
O -15.9470 -23.5626 3.0105 2.4552 0.3411 -0.0549
C -16.8308 -23.3979 3.9974 4.7853 3.2072 4.2291
O -16.5316 -22.9194 5.1107 -0.4883 -1.5694 -2.7104
O -17.9670 -23.6367 3.5976 -5.2154 -1.3602 -1.0665
H -18.4558 -22.9866 0.4809 -0.2562 -0.4501 -1.9002
H -18.5684 -22.0161 1.7820 -0.3750 -0.9628 0.4171
H -19.8598 -23.1634 1.5323 -3.6020 -0.6035 0.0743
H -18.4330 -25.1168 2.4181 -0.1193 0.5579 -1.1904
H -16.2044 -23.8193 0.8925 -0.3851 0.8274 1.1424
H -16.1474 -25.0910 1.8132 2.1395 -6.7884 0.1772
C -13.1178 -29.3179 5.7524 -2.2357 -0.0759 -1.1880
C -11.9556 -28.6611 4.9891 -7.6975 4.6882 4.0309
C -12.5764 -27.3897 4.3735 3.2069 2.4413 -1.7194
S -14.1523 -27.0526 5.1202 -0.1472 -1.7035 -2.3229
O -15.2062 -27.5237 4.2592 -0.1615 0.2723 -0.3555
O -14.1359 -25.7738 5.6686 -0.5562 3.9770 0.6815
C -13.9220 -28.0982 6.3959 2.2393 -3.9163 -2.8163
H -12.7769 -29.9057 6.5143 1.2224 -1.4077 2.2805
H -13.7747 -30.1550 5.1851 1.1869 2.6184 0.6672
H -11.6065 -29.1838 4.3297 3.5338 -6.0346 -7.4770
H -11.1873 -28.4439 5.5771 2.9943 1.1837 3.0373
H -12.7073 -27.5078 3.2301 0.1950 0.4665 1.8870
H -11.7879 -26.4121 4.6325 -2.5732 -2.6677 -0.9933
H -14.7855 -28.3439 6.8254 -3.5841 -0.9929 1.8280
H -13.3442 -27.5155 6.9862 2.1346 1.3232 2.4932
C -9.4784 -25.4068 8.6898 2.0069 -0.4437 -1.6925
C -10.2207 -26.7370 8.5233 3.0803 -1.6979 -0.3492
C -11.1854 -26.7436 9.7723 8.3168 6.8457 0.4346
S -11.8783 -25.1785 9.4354 -3.1191 3.2536 0.6803
O -12.2521 -24.5085 10.6680 -0.0395 -0.6448 0.2182
O -12.9593 -25.2954 8.4469 1.1615 -0.5573 0.4641
C -10.4693 -24.2978 8.7789 -2.9068 -0.4706 -5.1368
if the parameter wasn't added to the parameters object
Use in the GUINode: Adds the schema drop down box, "outputSchema" to the operatorDialog and returns the DialogElement
Use in the GUINode: Adds the schema drop down box, "outputSchema" to the operatorDialog and returns the DialogElement